Saturday, June 21, 2014

Here's how I got PitchSlapped

June is nearly coming to an end and boy oh boy has it been an exciting month. Monthly updates are becoming a thing here on my itty bitty blog and Im glad I can keep you guys up to date with whats going on in my life. Recently a pretty cool thing happened, at the beginning of the month my best friend and I made a spontaneous trip to Louisiana to play extras in the audience watching the Treblemakers preform in Pitch Perfect 2. We enjoyed being on set so much that we got back in contact with a casting director to return later in the month to see the Bellas... little did I know I'd be getting to do a little more than just be an extra in the audience. I would love to let you guys have the full experience of what my trip to PP2 was actually like, sharing pictures and videos of my costume and of set, however I do not have 117,000 dollars to pay them when they sue me. I signed this little paper saying I would not share any information about the movie as they want to keep it a secrete until it comes out, which is totally understandable. I can however share a little sneak peak into what happened to me while I was there. 

I originally applied to play an audience member again all week with my friends and was thrilled with just that, until the night before we started our road trip at dinner when I got a call from casting asking if I would be willing to be in a "specialty group." I can't revile what the group did or looked like but geeze louise was it FUN. Being in this had it's perks, we got our own trailer, were taken to hair and make up almost everyday, fitted and in wardrobe for our costumes, and allowed to be back stage with the actors. I got a glimpse of what its actually like to be on set and not just another extra in the audience which was pretty cool. Being in this group allowed me to meet some pretty awesome people, including having a casual conversation with Brittany Snow while making ice coffee at 3 am. We got to do a few scenes, one on our own where Elizabeth Banks loved what we were doing so much she requested the cameras to be directly on us...AMAZING, and another with Hailee Steinfeld and Ben Platt. Not everyday do you just get to hang out in the same room with an oscar nominee. Everyone was so nice and down to earth, if you're wondering what Rebel Wilson is like she is hilarious! Call times were mainly around 4-6 pm and went all the way until 6 am. It was long hours doing the same scenes about 20 plus times over and over, I never realized how many times they actually shoot the same thing just from tons of different angles and cameras, some of those bad boys are ginormous. 

The week went by fast, and sort of felt like one long continuous day, shooting all night and sleeping all day then getting up and heading right back. Monday-Thursday had only around 100-300 extras in the audience and Friday night was the BIG day, PP2 opened the doors to any and everyone that wanted to come watch the final performance of the Bellas, 2000 people showed up and it was crazy.  Thankfully the volunteers were release around midnight and wouldn't be there the entire time. When we finally wrapped I think I was to the point of delirium, by this point in the week we memorized the lyrics and dance routines of the performances so you know we were a bit tired of seeing the same things and ready to return home. This was an amazing opportunity and exciting week, I'm grateful for everything and so super excited for the movie to come out, May 15, 2015.

(here are a few photos I can share)
A few of the girls in our group

The guys who made things so much fun on set

The sun coming up on the first finished day

A snap chat of the sun on the last day

Bubble fun in-between takes

Some of the crowd on Friday night

An overhead shot of the park that a news station took

Snapchat photo bom with one of the guys from another group

Thursday, June 12, 2014

Help, Im freaking OUT people

┌──
#a
# Sr2CaV2Si4O14 (PBE+U, optimized geometry)
data_Sr2CaV2Si4O14
_chemical_formula_sum 'Sr2 Ca1 V2 Si4 O14'
_symmetry_space_group_name_H-M 'P 1'
_symmetry_Int_Tables_number 1
_symmetry_space_group_name_Hall 'P 1'
_cell_length_a 5.5255
_cell_length_b 7.3718
_cell_length_c 7.9362
_cell_angle_alpha 93.93
_cell_angle_beta 110.37
_cell_angle_gamma 90.00
loop_
_atom_site_label
_atom_site_fract_x
_atom_site_fract_y
_atom_site_fract_z
O1 0.4908 0.0000 0.0000
O2 0.9996 0.7871 0.0229
O3 0.9257 0.4506 0.2956
O4 0.5698 0.9403 0.6833
O5 0.6417 0.7501 0.2706
O6 0.5318 0.5000 0.0000
O7 0.4069 0.4391 0.2782
O8 0.6301 0.5494 0.7044
O9 0.9767 0.2129 0.9771
O10 0.1287 0.5609 0.7218
O11 0.0925 0.9508 0.6863
O12 0.3711 0.2499 0.7294
O13 0.4062 0.0492 0.3137
O14 0.8865 0.0597 0.3167
V1 0.1049 0.2158 0.2237
V2 0.8813 0.7842 0.7763
Sr1 0.7922 0.2241 0.5986
Sr2 0.1936 0.7759 0.4014
Si1 0.4137 0.4752 0.7800
Si2 0.3872 0.0327 0.7865
Si3 0.6337 0.5248 0.2200
Si4 0.6007 0.9673 0.2135
Ca1 0.0661 0.5000 0.0000
# SG: C2
# Spin magnetization (μB per formula unit): 0.00
# Calculated volume (A^3/atom): 13.141



#b
# Sr2CaV2Si4O14 (PBE+U, optimized geometry)
data_Sr2CaV2Si4O14
_chemical_formula_sum 'Sr2 Ca1 V2 Si4 O14'
_symmetry_space_group_name_H-M 'P 1'
_symmetry_Int_Tables_number 1
_symmetry_space_group_name_Hall 'P 1'
_cell_length_a 5.5175
_cell_length_b 7.5841
_cell_length_c 7.7536
_cell_angle_alpha 90.00
_cell_angle_beta 110.84
_cell_angle_gamma 90.00
loop_
_atom_site_label
_atom_site_fract_x
_atom_site_fract_y
_atom_site_fract_z
Ca1 0.4565 0.7500 0.9129
Si1 0.3827 0.4504 0.7654
Si2 0.3827 0.0496 0.7654
Si3 0.6092 0.9890 0.2183
Si4 0.6092 0.5110 0.2183
O1 0.4973 0.0369 0.9946
O2 0.9033 0.4451 0.3078
O3 0.9033 0.0549 0.3078
O4 0.4044 0.0549 0.3078
O5 0.4973 0.4631 0.9946
O6 0.5869 0.9412 0.6984
O7 0.5869 0.5588 0.6984
O8 0.4044 0.4451 0.3078
O9 0.6151 0.7500 0.2303
O10 0.0003 0.7500 0.0006
O11 0.3410 0.2500 0.6821
O12 0.1115 0.5588 0.6984
O13 0.9779 0.2500 0.9558
O14 0.1115 0.9412 0.6984
Sr1 0.1703 0.7500 0.3407
Sr2 0.8073 0.2500 0.6146
V1 0.8760 0.7500 0.7519
V2 0.1024 0.2500 0.2048
# SG: Amm2
# Spin magnetization (μB per formula unit): 0.12
# Calculated volume (A^3/atom): 13.183



#c
# Sr2CaV2Si4O14 (PBE+U, optimized geometry)
data_Sr2CaV2Si4O14
_chemical_formula_sum 'Sr2 Ca1 V2 Si4 O14'
_symmetry_space_group_name_H-M 'P 1'
_symmetry_Int_Tables_number 1
_symmetry_space_group_name_Hall 'P 1'
_cell_length_a 5.8687
_cell_length_b 7.3423
_cell_length_c 8.2227
_cell_angle_alpha 95.24
_cell_angle_beta 113.21
_cell_angle_gamma 75.49
loop_
_atom_site_label
_atom_site_fract_x
_atom_site_fract_y
_atom_site_fract_z
Si1 0.6030 0.9620 0.2153
Si2 0.6265 0.5179 0.2115
Si3 0.3248 0.4936 0.8063
Si4 0.4176 0.0663 0.8041
O1 0.8970 0.3797 0.2220
O2 0.0364 0.6264 0.7433
O3 0.3810 0.0420 0.2914
O4 0.6159 0.9720 0.7065
O5 0.1943 0.9521 0.7261
O6 0.5354 0.5062 0.3689
O7 0.4014 0.4718 0.0229
O8 0.0438 0.8293 0.0724
O9 0.8712 0.0180 0.3443
O10 0.6567 0.7317 0.1834
O11 0.5561 0.0604 0.0223
└──

Mid shower about 20 minutes ago I had a moment, now normally this is where you'd find me having "ideas" or "deep thoughts" so it wasn't abnormal for this to approach my mind while shampoo sat lathering on my head. At almost the age of 22 I feel like I may be in the middle of a mid life, or in this case, quarter life crisis. Now this won't be there first or last time this will happen to me, I along with many other my age have faced this obstacle of many important questions adults such as our elders ask, "What are your career plans?" "Where do you see yourself in five years?" "What is your major, and what will you do with it?" questions I feel as though I should know, but quite frankly don't. Life is changing, it is for most of us at this point in our lives when we thought we had it all figured out we are slapped in the face with a big fat question mark.

Now you have been though what is most or all of your college years, and reality is knocking on your door step. You have been living surrounded by people your age and in which you may think you know more than or are better than in some way. But you are about to step into a new world, the real world, and you will start all over again. Being faced with new challenges where you may not know everything like you thought you had. So what do you do? Back down in fear, or rise and triumph? How do you even get there you wonder... So do I. I don't have the answers. I don't know which direction is the best for you but I can try and give you a little insight on a few thoughts that roam my brain.

A few years ago after graduating high school I had a plan, I was going to go to the local Jr. college in my hometown for a few years, transfer to a university, and then become a teacher. It was what I set in my mind as the perfect plan, and it was in action. But life kicks in and it also kicks you in the ass sometimes as well. I didn't like school, I didn't want to get paid crap money and I wanted to do something more with myself, challenge myself in a way. So I left, moved to a new city, started and completed Cosmetology School, then moved to start my career. I once again thought I found a new plan, one that would really work I told myself. Well look where I am now, I've quit my job, moved once again to another city and enrolled to go back to school. So much for a solid plan right? I think that's the point, that you sometimes can't really plan what is going to happen because lets face it, that's life and it doesn't get more real then that. You have to just trust that God will always lead you in the right direction and know that he has a greater plan that will always be better than any one you could think of yourself.

Along the way I have seemed to have lost parts of myself, I have been tested in many ways and not always have won. You most always stay true to the person you are inside as this journey is leading you to your destiny. We may be frightened in ways at the unknown but we can not stray from ourselves, we must remember what our parents and elders have taught us. Remain true and pure. At 22 I may not have it all figured out but I think the most important thing I must know is to leave my faith in Him and all will go according to HIS plan, I hope you can do the same
